_Listing_
┌──
Entry 1:
Density functional theory data (PBE) for crystalline Nb2InSiPd at its relaxed geometry.

Unit cell a=5.003 b=5.003 c=4.392 alpha=90.00 beta=90.00 gamma=90.00
Space group P4/mmm (No. 123)
Symmetry-distinct sites (fractional):
1 Nb 0.000 0.500 0.000
2 In 0.000 0.000 0.500
3 Si 0.500 0.500 0.500
4 Pd 0.500 0.500 0.000

Results
* magnetic moment: 0.00 μB per formula unit
* D(E_F): 1.05 states/eV/atom
* uncorrected energy: -5.85 eV per atom
* crystal system: tetragonal
* density: 6.57 g cm⁻³
* uncorrected formation energy: 81.5 kJ per mole of atoms

***

Entry 2:
Density functional theory data (PBE) for crystalline AcCe4Ga5 at its relaxed geometry.

Unit cell a=3.877 b=3.877 c=16.551 alpha=90.00 beta=90.00 gamma=90.00
Space group P4/mmm (No. 123)
Symmetry-distinct sites (fractional):
1 Ac 0.000 0.000 0.000
2 Ce 0.000 0.000 0.223
3 Ce 0.000 0.000 0.398
4 Ga 0.500 0.500 0.122
5 Ga 0.500 0.500 0.309
6 Ga 0.500 0.500 0.500

Results
* calculated formation energy: -0.44 eV/atom
* magnetic moment: 2.12 μB per formula unit
* D(E_F): 1.87 states/eV/atom
* uncorrected energy: -4.74 eV per atom
* crystal system: tetragonal
* density: 7.58 g cm⁻³

***

Entry 3:
Density functional theory data (PBE) for crystalline TbDy2Au at its relaxed geometry.

Unit cell a=4.723 b=4.723 c=4.721 alpha=90.00 beta=90.00 gamma=90.00
Space group P4/mmm (No. 123)
Symmetry-distinct sites (fractional):
1 Tb 0.000 0.000 0.000
2 Dy 0.000 0.500 0.500
3 Au 0.500 0.500 0.000

Results
* calculated formation energy: -0.25 eV/atom
* magnetic moment: 0.00 μB per formula unit
* D(E_F): 1.28 states/eV/atom
* uncorrected energy: -4.52 eV per atom
* crystal system: tetragonal
* density: 10.73 g cm⁻³

***

Which of these has the highest D(E_F)?
AcCe4Ga5

***

What did the second record say?
Density functional theory data (PBE) for crystalline AcCe4Ga5 at its relaxed geometry.

Unit cell a=3.877 b=3.877 c=16.551 alpha=90.00 beta=90.00 gamma=90.00
Space group P4/mmm (No. 123)
Symmetry-distinct sites (fractional):
1 Ac 0.000 0.000 0.000
2 Ce 0.000 0.000 0.223
3 Ce 0.000 0.000 0.398
4 Ga 0.500 0.500 0.122
5 Ga 0.500 0.500 0.309
6 Ga 0.500 0.500 0.500

Results
* calculated formation energy: -0.44 eV/atom
* magnetic moment: 2.12 μB per formula unit
* D(E_F): 1.87 states/eV/atom
* uncorrected energy: -4.74 eV per atom
* crystal system: tetragonal
* density: 7.58 g cm⁻³
└──
_Request_
Now quote every line further up that contains the word "mmm".
_Reply_
Space group P4/mmm (No. 123)
Space group P4/mmm (No. 123)
Space group P4/mmm (No. 123)
Space group P4/mmm (No. 123)